Work order:
Now duplicate the contents underneath verbatim.

Input:
Record 1
# Mn2W2Cl

A relaxed structure of Mn2W2Cl (GGA-PBEsol, Alexandria).

Values from the calculation:
- energy (Ha/atom) = -0.3325
- energy relative to the elements, uncorrected (eV/atom) = 0.78
- D(E_F) (states/eV/atom) = 1.077
- SG = I4/mmm, No. 139

a b c (Å): 7.047 7.047 7.047
angles (deg): 151.07 151.07 41.37
Positions (direct):
Mn: 0.250 0.750 0.500
Mn: 0.750 0.250 0.500
W: 0.132 0.132 0.000
W: 0.868 0.868 0.000
Cl: 0.500 0.500 0.000



Record 2
# Rb3PrCl6

A relaxed structure of Rb3PrCl6 (GGA-PBEsol, Alexandria).

Values from the calculation:
- energy (Ha/atom) = -0.1487
- energy relative to the elements, uncorrected (eV/atom) = -2.02
- D(E_F) (states/eV/atom) = 0.000
- SG = Fm-3m, No. 225

a b c (Å): 8.155 8.155 8.155
angles (deg): 60.00 60.00 60.00
Positions (direct):
Rb: 0.000 0.000 0.000
Rb: 0.250 0.250 0.250
Rb: 0.750 0.750 0.750
Pr: 0.500 0.500 0.500
Cl: 0.265 0.265 0.735
Cl: 0.265 0.735 0.265
Cl: 0.265 0.735 0.735
Cl: 0.735 0.265 0.265
Cl: 0.735 0.265 0.735
Cl: 0.735 0.735 0.265



Record 3
# Cs2InHgCl6

A relaxed structure of Cs2InHgCl6 (GGA-PBEsol, Alexandria).

Values from the calculation:
- energy (Ha/atom) = -0.1137
- energy relative to the elements, uncorrected (eV/atom) = -1.34
- D(E_F) (states/eV/atom) = 0.119
- SG = Fm-3m, No. 225

a b c (Å): 7.511 7.511 7.511
angles (deg): 60.00 60.00 60.00
Positions (direct):
Cs: 0.250 0.250 0.250
Cs: 0.750 0.750 0.750
In: 0.000 0.000 0.000
Hg: 0.500 0.500 0.500
Cl: 0.240 0.240 0.760
Cl: 0.240 0.760 0.240
Cl: 0.240 0.760 0.760
Cl: 0.760 0.240 0.240
Cl: 0.760 0.240 0.760
Cl: 0.760 0.760 0.240



Record 4
# H2S

A relaxed structure of H2S (GGA-PBEsol, Alexandria).

Values from the calculation:
- energy (Ha/atom) = -0.1398
- D(E_F) (states/eV/atom) = 0.000
- SG = Ibca, No. 73

a b c (Å): 7.384 7.384 7.384
angles (deg): 113.06 112.33 103.19
Positions (direct):
H: 0.085 0.765 0.495
H: 0.090 0.775 0.005
H: 0.230 0.410 0.995
H: 0.230 0.725 0.815
H: 0.270 0.085 0.495
H: 0.270 0.265 0.180
H: 0.410 0.415 0.685
H: 0.415 0.910 0.680
H: 0.585 0.090 0.320
H: 0.590 0.585 0.315
H: 0.730 0.735 0.820
H: 0.730 0.915 0.505
H: 0.770 0.275 0.185
H: 0.770 0.590 0.005
H: 0.910 0.225 0.995
H: 0.915 0.235 0.505
S: 0.227 0.250 0.477
S: 0.250 0.223 0.973
S: 0.250 0.723 0.473
S: 0.273 0.750 0.023
S: 0.727 0.250 0.977
S: 0.750 0.277 0.527
S: 0.750 0.777 0.027
S: 0.773 0.750 0.523



Record 5
# CaYBe2

A relaxed structure of CaYBe2 (GGA-PBEsol, Alexandria).

Values from the calculation:
- energy (Ha/atom) = -0.1448
- calculated formation energy (eV/atom) = 0.299
- D(E_F) (states/eV/atom) = 0.813
- SG = C2/m, No. 12

a b c (Å): 4.999 4.999 6.242
angles (deg): 122.55 122.55 47.29
Positions (direct):
Ca: 0.000 0.000 0.000
Y: 0.500 0.500 0.500
Be: 0.237 0.237 0.571
Be: 0.763 0.763 0.429



Record 6
# Zr3CrAg

A relaxed structure of Zr3CrAg (GGA-PBEsol, Alexandria).

Values from the calculation:
- energy (Ha/atom) = -0.2519
- calculated formation energy (eV/atom) = 1.310
- D(E_F) (states/eV/atom) = 1.692
- SG = Pm-3m, No. 221

a b c (Å): 5.052 5.052 5.052
angles (deg): 90.00 90.00 90.00
Positions (direct):
Zr: 0.000 0.000 0.500
Zr: 0.000 0.500 0.000
Zr: 0.500 0.000 0.000
Cr: 0.500 0.500 0.500
Ag: 0.000 0.000 0.000

Done:
Record 1
# Mn2W2Cl

A relaxed structure of Mn2W2Cl (GGA-PBEsol, Alexandria).

Values from the calculation:
- energy (Ha/atom) = -0.3325
- energy relative to the elements, uncorrected (eV/atom) = 0.78
- D(E_F) (states/eV/atom) = 1.077
- SG = I4/mmm, No. 139

a b c (Å): 7.047 7.047 7.047
angles (deg): 151.07 151.07 41.37
Positions (direct):
Mn: 0.250 0.750 0.500
Mn: 0.750 0.250 0.500
W: 0.132 0.132 0.000
W: 0.868 0.868 0.000
Cl: 0.500 0.500 0.000



Record 2
# Rb3PrCl6

A relaxed structure of Rb3PrCl6 (GGA-PBEsol, Alexandria).

Values from the calculation:
- energy (Ha/atom) = -0.1487
- energy relative to the elements, uncorrected (eV/atom) = -2.02
- D(E_F) (states/eV/atom) = 0.000
- SG = Fm-3m, No. 225

a b c (Å): 8.155 8.155 8.155
angles (deg): 60.00 60.00 60.00
Positions (direct):
Rb: 0.000 0.000 0.000
Rb: 0.250 0.250 0.250
Rb: 0.750 0.750 0.750
Pr: 0.500 0.500 0.500
Cl: 0.265 0.265 0.735
Cl: 0.265 0.735 0.265
Cl: 0.265 0.735 0.735
Cl: 0.735 0.265 0.265
Cl: 0.735 0.265 0.735
Cl: 0.735 0.735 0.265



Record 3
# Cs2InHgCl6

A relaxed structure of Cs2InHgCl6 (GGA-PBEsol, Alexandria).

Values from the calculation:
- energy (Ha/atom) = -0.1137
- energy relative to the elements, uncorrected (eV/atom) = -1.34
- D(E_F) (states/eV/atom) = 0.119
- SG = Fm-3m, No. 225

a b c (Å): 7.511 7.511 7.511
angles (deg): 60.00 60.00 60.00
Positions (direct):
Cs: 0.250 0.250 0.250
Cs: 0.750 0.750 0.750
In: 0.000 0.000 0.000
Hg: 0.500 0.500 0.500
Cl: 0.240 0.240 0.760
Cl: 0.240 0.760 0.240
Cl: 0.240 0.760 0.760
Cl: 0.760 0.240 0.240
Cl: 0.760 0.240 0.760
Cl: 0.760 0.760 0.240



Record 4
# H2S

A relaxed structure of H2S (GGA-PBEsol, Alexandria).

Values from the calculation:
- energy (Ha/atom) = -0.1398
- D(E_F) (states/eV/atom) = 0.000
- SG = Ibca, No. 73

a b c (Å): 7.384 7.384 7.384
angles (deg): 113.06 112.33 103.19
Positions (direct):
H: 0.085 0.765 0.495
H: 0.090 0.775 0.005
H: 0.230 0.410 0.995
H: 0.230 0.725 0.815
H: 0.270 0.085 0.495
H: 0.270 0.265 0.180
H: 0.410 0.415 0.685
H: 0.415 0.910 0.680
H: 0.585 0.090 0.320
H: 0.590 0.585 0.315
H: 0.730 0.735 0.820
H: 0.730 0.915 0.505
H: 0.770 0.275 0.185
H: 0.770 0.590 0.005
H: 0.910 0.225 0.995
H: 0.915 0.235 0.505
S: 0.227 0.250 0.477
S: 0.250 0.223 0.973
S: 0.250 0.723 0.473
S: 0.273 0.750 0.023
S: 0.727 0.250 0.977
S: 0.750 0.277 0.527
S: 0.750 0.777 0.027
S: 0.773 0.750 0.523



Record 5
# CaYBe2

A relaxed structure of CaYBe2 (GGA-PBEsol, Alexandria).

Values from the calculation:
- energy (Ha/atom) = -0.1448
- calculated formation energy (eV/atom) = 0.299
- D(E_F) (states/eV/atom) = 0.813
- SG = C2/m, No. 12

a b c (Å): 4.999 4.999 6.242
angles (deg): 122.55 122.55 47.29
Positions (direct):
Ca: 0.000 0.000 0.000
Y: 0.500 0.500 0.500
Be: 0.237 0.237 0.571
Be: 0.763 0.763 0.429



Record 6
# Zr3CrAg

A relaxed structure of Zr3CrAg (GGA-PBEsol, Alexandria).

Values from the calculation:
- energy (Ha/atom) = -0.2519
- calculated formation energy (eV/atom) = 1.310
- D(E_F) (states/eV/atom) = 1.692
- SG = Pm-3m, No. 221

a b c (Å): 5.052 5.052 5.052
angles (deg): 90.00 90.00 90.00
Positions (direct):
Zr: 0.000 0.000 0.500
Zr: 0.000 0.500 0.000
Zr: 0.500 0.000 0.000
Cr: 0.500 0.500 0.500
Ag: 0.000 0.000 0.000